
Welcome Home

screen-shot-2017-02-16-at-9-32-55-amThis year started out so differently than the last, but through both the drama that unfolded on Jan 1 in 2016 and the much quieter start to 2017 – God has been evidently clear.

This time last year, we were dealing with remodeling after an accident resulted in some minor damage to our home.  And while I dealt with contractors and vendors that came into my circle, I realized how each had the exact skill set I needed and offered options that were a precisely what I needed within the small budget we had.

Crystal structures, as found in the file:
# 1
{
  "formula": "CeErGa",
  "functional": "PBE-GGA",
  "state": "relaxed",
  "lattice_angstrom": [[2.3748, 1.3711, 7.9967], [-2.3748, 1.3711, 7.9967], [0.0000, -2.7422, 7.9967]],
  "species": ["Ce", "Ce", "Er", "Er", "Ga", "Ga"],
  "fractional_positions": [[0.1426, 0.1426, 0.1426], [0.8574, 0.8574, 0.8574], [0.2904, 0.2904, 0.2904], [0.7096, 0.7096, 0.7096], [0.4213, 0.4213, 0.4213], [0.5787, 0.5787, 0.5787]],
  "energy_ev_per_atom": -4.77,
  "crystal_system": "trigonal",
  "sg": "R-3m",
  "mass_density_g_cm3": 8.016,
  "ef_ev_per_atom": -0.26
}

---

# 2
{
  "formula": "CsSr2LaRu",
  "functional": "PBE-GGA",
  "state": "relaxed",
  "lattice_angstrom": [[6.4495, 0.0000, 0.0000], [0.0000, 6.4495, 0.0000], [0.0000, 0.0000, 5.2372]],
  "species": ["Cs", "Sr", "Sr", "La", "Ru"],
  "fractional_positions": [[0.0000, 0.0000, 0.0000], [0.0000, 0.5000, 0.5000], [0.5000, 0.0000, 0.5000], [0.5000, 0.5000, 0.0000], [0.5000, 0.5000, 0.5000]],
  "energy_ev_per_atom": -3.54,
  "crystal_system": "tetragonal",
  "sg": "P4/mmm",
  "mass_density_g_cm3": 4.178,
  "ef_ev_per_atom": 0.14
}

---

# 3
{
  "formula": "Li2Ag7Pd2",
  "functional": "PBE-GGA",
  "state": "relaxed",
  "lattice_angstrom": [[5.1176, -4.4811, 0.0000], [5.1176, 4.4811, 0.0000], [-2.0460, 0.0000, 4.1242]],
  "species": ["Li", "Li", "Ag", "Ag", "Ag", "Ag", "Ag", "Ag", "Ag", "Pd", "Pd"],
  "fractional_positions": [[0.1632, 0.1632, 0.1611], [0.8368, 0.8368, 0.8389], [0.0000, 0.0000, 0.5000], [0.1070, 0.5662, 0.3367], [0.3421, 0.3421, 0.8395], [0.4338, 0.8930, 0.6633], [0.5662, 0.1070, 0.3367], [0.6579, 0.6579, 0.1605], [0.8930, 0.4338, 0.6633], [0.2285, 0.7715, 0.0000], [0.7715, 0.2285, 0.0000]],
  "energy_ev_per_atom": -3.18,
  "crystal_system": "monoclinic",
  "sg": "C2/m",
  "mass_density_g_cm3": 8.619,
  "ef_ev_per_atom": -0.07
}

---

# 4
{
  "formula": "CdSb3C",
  "functional": "PBE-GGA",
  "state": "relaxed",
  "lattice_angstrom": [[4.8455, 0.0000, 0.0000], [0.0000, 4.8455, 0.0000], [0.0000, 0.0000, 4.8455]],
  "species": ["Cd", "Sb", "Sb", "Sb", "C"],
  "fractional_positions": [[0.0000, 0.0000, 0.0000], [0.0000, 0.5000, 0.5000], [0.5000, 0.0000, 0.5000], [0.5000, 0.5000, 0.0000], [0.5000, 0.5000, 0.5000]],
  "energy_ev_per_atom": -3.59,
  "crystal_system": "cubic",
  "sg": "Pm-3m",
  "mass_density_g_cm3": 7.148,
  "formation_energy_uncorrected_ev_per_atom": 0.907
}

---

# 5
{
  "formula": "Nd5Y8Pb",
  "functional": "PBE-GGA",
  "state": "relaxed",
  "lattice_angstrom": [[-5.3578, 5.3578, 4.1768], [5.3578, -5.3578, 4.1768], [5.3578, 5.3578, -4.1768]],
  "species": ["Nd", "Nd", "Nd", "Nd", "Nd", "Y", "Y", "Y", "Y", "Y", "Y", "Y", "Y", "Pb"],

A couple years prior to this I’d been in the building industry.  (Every writer has a day job unless they’re James Patterson.)  When the oil and gas industry took a dive, I was laid off.  I never understood the ‘why’ behind it.  We all ask ourselves ‘why’ things happen.  Why do I have to go through this valley?  Why me?  Why now?

Well, it was never more clear in the ‘why’ when I was knee-deep in home repairs and contractors, knowing that I could speak the lingo and check their work – ‘knowing what to look for’ so that it was well done.

God immersed me in those moments with his presence giving me a strong sense of his answer to the ‘why’ that I’d asked only two years prior.  He let me go work in an industry that I was destined to be laid off from to allow me the knowledge to navigate through a sea of what could be unknowns only to have the knowledge needed to get it done right.  After the repairs were done, it was left in better condition than when we first moved in.

He gave me very clear insight of his gifts to me and blessings through the chaos when we finally sold our home and landed in an area that we loved but couldn’t afford.  The house we made an offer on appraised lower than the area called for and coincidentally for one hundred dollars LESS than the top dollar that we could afford.

God showed up in so many ways in details that I won’t bore you with that go deeper than what I describe here but just know this…  His presence and peace wrapped around us like nothing I’d experienced before.

Fast forward to this new year and I woke up in our ‘new to us’ home on a quiet day, much different than the year prior, and felt his whisper in my heart, which said, ‘Welcome Home’.  It had been a year to remember and one for the record books – and God’s hand was evident through the entire process.  Through darkness, chaos, and fatigue, He lifted us up, led us through, and brought us home.

Whoever says God is not active in our lives has blinders on.  He is with every single one of us through it all things, good and bad.  All we have to do is look to him, ask for Him, and rely on Him.  His gentle love and tender embrace is there – just lean into it.